Joplin MO got hit hard...

My prayers out to all affected. I just saw pics on the news and man, that was one seriously devasting tornado.
Did I read right there might be a another wave coming their way? I pray that it doesn't happen.
I just saw on the news that there is a high probablility tornado area centered on OK but it also covers Joplin. Not good.
well pray for us guys we done got one mile wide tornado on the ground here in ok. and one more little one god i hope it dont get here or Joplin i will be going off line in bout two hours that when it will be here i mite have to run from this thing
122 confirmed dead,750 injured so far. Hard to say how many people are still missing. Now we have more tornadoes in the Oklahoma City area. Dart Dr,how far are you from there? Be safe pal.
man i had to leave but one ht 13 miles away man we are all ok over here alittle shouk up tho how are u and ur famliy 73 red duster
Thoughts and prayers go out to y'all. My cousin's son lives in Joplin. He lost everything material, and is now helping with his dad in the recovery. I wish I was closer so I could help...

(Unrelated to this text: materials data)
********
Starting from a structure optimized by DFT (GGA-PBE), the powder diffractogram of Pm2Pr5Ho4 was calculated for a wavelength of 1.5418 Å.
Lines closer than 0.1° are merged.

Structural model:
Lattice parameters (Å, degrees): 17.929 3.573 11.758 90.00 93.94 90.00
Space group C2/m (No. 12)
One atom of each set of equivalent atoms:
Pm (0.217, 0.000, 0.352) (multiplicity 4)
Pr (0.000, 0.000, 0.000) (multiplicity 2)
Pr (0.096, 0.500, 0.535) (multiplicity 4)
Pr (0.176, 0.500, 0.071) (multiplicity 4)
Ho (0.033, 0.500, 0.259) (multiplicity 4)
Ho (0.140, 0.000, 0.797) (multiplicity 4)

Largest 10 diffraction maxima, by angle, 10 to 80 degrees two-theta:
- d = 3.026 Å, intensity 24, (1 1 -2)
- d = 2.990 Å, intensity 21, (1 1 2)
- d = 2.938 Å, intensity 94, (6 0 -1)
- d = 2.846 Å, intensity 100, (2 0 -4)
- d = 2.757 Å, intensity 40, (3 1 -2)
- d = 2.678 Å, intensity 26, (3 1 2)
- d = 1.937 Å, intensity 16, (1 1 5)
- d = 1.678 Å, intensity 19, (8 0 -5)
- d = 1.526 Å, intensity 18, (6 2 -1)
- d = 1.513 Å, intensity 38, (2 2 -4)
********

Thoughts and prayers go out to y'all. My cousin's son lives in Joplin. He lost everything material, and is now helping with his dad in the recovery. I wish I was closer so I could help...

thanks bud we didnt get hit it miss us and are home god was looking out of us i hope ur cuz gets the help he needs im going to go to the catoosa cops and give some food for them up there and may be okc idk how bad they or any of ok got hit i just know parts of okc got hit and wagoner and grove and haskill and some towns i cant spell i was at my uncles in cow town we could here and see the one the that hit wagoner and i cant spell the other
Everything is good in Fair Grove,(just north of Springfield)but I do have friends and co-workers in Joplin. Good to hear it missed you dart_doctor.
I got caught in it at 32nd&main in car took refuge at bank drive thru,thought it was the end, I made it but car is trashed,media is downplaying it bigtime, major devastation like you cannot imagine,seen many dead and cars/trks that were unrecognizable,upside down with people still in/partilly out,scattered like broken toys everywhere...hit where I was at twice in 9 mins...more like a mile plus wide and 7 plus miles long not counting all the surrounding areas that got wiped out, hundreds dead if not more and thousands missing although not reporting real statistics..75% of joplin destroyed..gone..even if u seen it its hard to believe...killed this town,if it survives will literally take years to just clean up and rebuild, thousands homeless no where to go no belongings no car/trk and many searching for loved ones and friends,no food water shelter for many 1st 36hrs..cold wet and in need of medical attention and many in total shock and bewilderment..Lots of prayers needed and donations and help also, although the outreach from surrounding communities is staggering and FEMA has came and taken over there is still a huge need for everything...I am so very fortunate to be here and my family and all our things intact I was the only one of my family out in it and I'm fine but the trek back home that normally takes 6-7 mins took 2 1/2 hrs thru a war like scenario to find out they were all ok, was a great relief and blessing that I just fell down and thanked GOD and I shook for 2hrs, we live about 3 miles north of all the devastation but at the time I had no way of knowing for there was no cell phones working,took both towers out,power was out,gas line bursts were common as were fires,total chaos that instantly put me in survival mode and on a mission to find my family and loved ones,we were lucky,fortunate and blessed by other explanation...but thousands were not and need so much and have nothing...but there is many many volunteers doing all they can nite and day and risking life and limb to help the less fortunate...has made me look at life totally different after what I've witnessed and experienced...I hope to never ever see anything remotely like this again...And I thank God Almighty for the chance to be here today and to have all my loved ones and home,life and possessions car is fixable but it dont matter...its a small price to pay for all I've been given...just pray for all the people that are homeless and victums of this terrible tragedy....thank you all for your comments and support....I am good..Ken in Joplin
I got caught in it at 32nd&main in car took refuge at bank drive thru,thought it was the end, I made it but car is trashed,media is downplaying it bigtime, major devastation like you cannot imagine,seen many dead and cars/trks that were unrecognizable,upside down with people still in/partilly out,scattered like broken toys everywhere...hit where I was at twice in 9 mins...more like a mile plus wide and 7 plus miles long not counting all the surrounding areas that got wiped out, hundreds dead if not more and thousands missing although not reporting real statistics..75% of joplin destroyed..gone..even if u seen it its hard to believe...killed this town,if it survives will literally take years to just clean up and rebuild, thousands homeless no where to go no belongings no car/trk and many searching for loved ones and friends,no food water shelter for many 1st 36hrs..cold wet and in need of medical attention and many in total shock and bewilderment..Lots of prayers needed and donations and help also, although the outreach from surrounding communities is staggering and FEMA has came and taken over there is still a huge need for everything...I am so very fortunate to be here and my family and all our things intact I was the only one of my family out in it and I'm fine but the trek back home that normally takes 6-7 mins took 2 1/2 hrs thru a war like scenario to find out they were all ok, was a great relief and blessing that I just fell down and thanked GOD and I shook for 2hrs, we live about 3 miles north of all the devastation but at the time I had no way of knowing for there was no cell phones working,took both towers out,power was out,gas line bursts were common as were fires,total chaos that instantly put me in survival mode and on a mission to find my family and loved ones,we were lucky,fortunate and blessed by other explanation...but thousands were not and need so much and have nothing...but there is many many volunteers doing all they can nite and day and risking life and limb to help the less fortunate...has made me look at life totally different after what I've witnessed and experienced...I hope to never ever see anything remotely like this again...And I thank God Almighty for the chance to be here today and to have all my loved ones and home,life and possessions car is fixable but it dont matter...its a small price to pay for all I've been given...just pray for all the people that are homeless and victums of this terrible tragedy....thank you all for your comments and support....I am good..Ken in Joplin

I am now speechless....
They have found a baby roughly 14-16 mths alive and well in the wal-mart bldg rubble,and a 17 yr old boy and I believe 2 children under 1 1/2 yrs alive and ok in the whats left of Home Depot....good news
Glad to hear you are ok,Ken. I work for Food4Less in Springfield,and therefore have several friends in Joplin. They tell me just like you,that it is much worse in person,than it appears on tv. My heart just goes out to you,and the whole community.
I was watching this on TV last night. I usually don't get too emotional about stuff I see on TV,events on the news etc. BUT this, holy f$%&^. I could not believe what I was seeing. I kept calling my wife into the room to see and hear this. I can't believe how strong willed these people are after literally loosing everything and having the **** kicked out of them. I tried to imagine my neighborhood turned upside down and ripped apart. MY HEART GOES OUT TO EVERYONE TOUCHED BY THIS. Stay strong. I will be donating somthing , somewhere to help out..........unbelievable.
Below is a link to approved organizations for donations. This city has major destruction,and can use any and all help.

Joplin, MO Tornado Recovery
If you're interested in donating money to Joplin, make sure it's an organization you can trust. Here's a site FEMA runs with a collection of Missouri-approved charities: Track legit charities in Missouri:
Glad to see your light on Memike! I heard Jonesboro was getting slammed a little while ago. Supposed to be hitting really hard here between 6 and 6:30 so I shut the shop down a little early today ... you hang in there and stay safe my friend, as well as the rest of ya'll in the path of this latest string of storms. Personally, I can do without any more of this crap or trees on my shop.
I got caught in it at 32nd&main in car took refuge at bank drive thru,thought it was the end, I made it but car is trashed,media is downplaying it bigtime, major devastation like you cannot imagine,seen many dead and cars/trks that were unrecognizable,upside down with people still in/partilly out,scattered like broken toys everywhere...hit where I was at twice in 9 mins...more like a mile plus wide and 7 plus miles long not counting all the surrounding areas that got wiped out, hundreds dead if not more and thousands missing although not reporting real statistics..75% of joplin destroyed..gone..even if u seen it its hard to believe...killed this town,if it survives will literally take years to just clean up and rebuild, thousands homeless no where to go no belongings no car/trk and many searching for loved ones and friends,no food water shelter for many 1st 36hrs..cold wet and in need of medical attention and many in total shock and bewilderment..Lots of prayers needed and donations and help also, although the outreach from surrounding communities is staggering and FEMA has came and taken over there is still a huge need for everything...I am so very fortunate to be here and my family and all our things intact I was the only one of my family out in it and I'm fine but the trek back home that normally takes 6-7 mins took 2 1/2 hrs thru a war like scenario to find out they were all ok, was a great relief and blessing that I just fell down and thanked GOD and I shook for 2hrs, we live about 3 miles north of all the devastation but at the time I had no way of knowing for there was no cell phones working,took both towers out,power was out,gas line bursts were common as were fires,total chaos that instantly put me in survival mode and on a mission to find my family and loved ones,we were lucky,fortunate and blessed by other explanation...but thousands were not and need so much and have nothing...but there is many many volunteers doing all they can nite and day and risking life and limb to help the less fortunate...has made me look at life totally different after what I've witnessed and experienced...I hope to never ever see anything remotely like this again...And I thank God Almighty for the chance to be here today and to have all my loved ones and home,life and possessions car is fixable but it dont matter...its a small price to pay for all I've been given...just pray for all the people that are homeless and victums of this terrible tragedy....thank you all for your comments and support....I am good..Ken in Joplin

I am glad to hear that you and your family are ok.. and I cant even begin to imagine the horrors you experienced.. after reading this I am also speechless..

They have found a baby roughly 14-16 mths alive and well in the wal-mart bldg rubble,and a 17 yr old boy and I believe 2 children under 1 1/2 yrs alive and ok in the whats left of Home Depot....good news

The piece is interrupted by data records =
+++
# 1
Diffraction record for IrOF2. The PXRD pattern is calculated, not measured: it uses a cell relaxed with GGA-PBE and λ = 1.5418 Å (Cu Kα).
No peak broadening, texture or thermal motion is included.

Most intense lines, 2θ from 10° to 90°, low angle first:
d (Å), two_theta, intensity
7.169, 12.35, 61
3.140, 28.42, 100
2.502, 35.90, 51
2.480, 36.22, 17
2.460, 36.52, 15
2.390, 37.64, 14
1.747, 52.38, 14
1.721, 53.23, 13
1.595, 57.82, 16
1.531, 60.46, 14
1.522, 60.88, 13
1.410, 66.28, 13

Structure:
a b c (Å): 4.9204 7.1693 4.9602
angles (deg): 90.00 90.00 90.00
Fractional positions:
Ir1 0.0099 0.1642 0.0000
Ir2 0.4901 0.1642 0.5000
Ir3 0.5099 0.8358 0.0000
Ir4 0.9901 0.8358 0.5000
O1 0.1493 0.0717 0.3499
O2 0.3507 0.0717 0.8499
O3 0.6493 0.9283 0.3499
O4 0.8507 0.9283 0.8499
F1 0.1454 0.3989 0.1113
F2 0.1558 0.7354 0.1574
F3 0.3442 0.7354 0.6574
F4 0.3546 0.3989 0.6113
F5 0.6454 0.6011 0.1113
F6 0.6558 0.2646 0.1574
F7 0.8442 0.2646 0.6574
F8 0.8546 0.6011 0.6113

***

# 2
Diffraction record for NaLi6NbO6. The PXRD pattern is calculated, not measured: it uses a cell relaxed with GGA-PBE and λ = 1.5418 Å (Cu Kα).
No peak broadening, texture or thermal motion is included.

Most intense lines, 2θ from 10° to 90°, low angle first:
d (Å), two_theta, intensity
5.033, 17.62, 100
4.081, 21.78, 67
3.197, 27.91, 50
3.170, 28.15, 48
2.517, 35.68, 12
2.356, 38.19, 18
2.142, 42.19, 77
2.041, 44.39, 17
1.891, 48.12, 16
1.678, 54.71, 24
1.488, 62.39, 21
1.360, 69.04, 13

Structure:
a b c (Å): 5.2838 5.2838 5.2838
angles (deg): 101.14 101.14 101.14
Fractional positions:
Na1 0.0000 0.0000 0.0000
Li1 0.1556 0.5000 0.8444
Li2 0.1556 0.8444 0.5000
Li3 0.5000 0.1556 0.8444
Li4 0.5000 0.8444 0.1556
Li5 0.8444 0.1556 0.5000
Li6 0.8444 0.5000 0.1556
Nb1 0.5000 0.5000 0.5000
O1 0.2245 0.2245 0.5845
O2 0.2245 0.5845 0.2245
O3 0.4155 0.7755 0.7755
O4 0.5845 0.2245 0.2245
O5 0.7755 0.4155 0.7755
O6 0.7755 0.7755 0.4155

***

# 3
Diffraction record for CsAg2AsS3. The PXRD pattern is calculated, not measured: it uses a cell relaxed with GGA-PBE and λ = 1.5418 Å (Cu Kα).
No peak broadening, texture or thermal motion is included.

Most intense lines, 2θ from 10° to 90°, low angle first:
d (Å), two_theta, intensity
4.277, 20.77, 36
3.759, 23.67, 22
3.688, 24.13, 40
3.603, 24.71, 59
3.475, 25.64, 50
3.146, 28.37, 47
3.106, 28.74, 100
2.843, 31.47, 66
2.465, 36.45, 40
2.451, 36.66, 47
2.140, 42.23, 22
1.987, 45.65, 21

Structure:
a b c (Å): 10.1664 8.5331 9.5272
angles (deg): 90.00 108.01 90.00
Fractional positions:
Cs1 0.0847 0.0661 0.2544
Cs2 0.0847 0.4339 0.7544
Cs3 0.9153 0.5661 0.2456
Cs4 0.9153 0.9339 0.7456
Ag1 0.3272 0.5276 0.2168
Ag2 0.3272 0.9724 0.7168
Ag3 0.4419 0.2399 0.5654
Ag4 0.4419 0.2601 0.0654
Ag5 0.5581 0.7399 0.9346
Ag6 0.5581 0.7601 0.4346
Ag7 0.6728 0.0276 0.2832
Ag8 0.6728 0.4724 0.7832
As1 0.3479 0.6392 0.5569
As2 0.3479 0.8608 0.0569
As3 0.6521 0.1392 0.9431
As4 0.6521 0.3608 0.4431
S1 0.1602 0.7230 0.0618
S2 0.1602 0.7770 0.5618
S3 0.2512 0.0877 0.9319
+++

miracles.. good ones..

[Someone pasted calculated crystals at this point]
Starting from a PBE+U-relaxed structure, the powder diffractogram of SrCa3V4O12 was calculated for Cu Kα X-rays.

Principal peaks in the range 2θ = 15–90°, in order of falling intensity:
d (Å)	2θ (°)	I_rel	hkl
2.738	32.7	1000	1 2 -1
2.707	33.1	481	0 0 2
1.569	58.8	311	1 2 3
1.958	46.4	231	0 4 0
1.586	58.1	215	0 4 2
1.912	47.6	202	2 0 2
1.917	47.4	199	2 0 -2
2.227	40.5	125	2 2 0
1.368	68.6	103	2 4 2
1.370	68.5	100	2 4 -2

Cell and atoms:
```
data_SrCa3V4O12
_chemical_formula_sum 'Sr1 Ca3 V4 O12'
_symmetry_space_group_name_H-M 'P 1 m 1'
_symmetry_Int_Tables_number 6
_cell_length_a 5.410
_cell_length_b 7.832
_cell_length_c 5.419
_cell_angle_alpha 90.00
_cell_angle_beta 90.16
_cell_angle_gamma 90.00
loop_
_symmetry_equiv_pos_as_xyz
'x,y,z'
'x,-y,z'
loop_
_atom_site_label
_atom_site_type_symbol
_atom_site_fract_x
_atom_site_fract_y
_atom_site_fract_z
Sr1 Sr 0.000 0.000 0.000
Ca1 Ca 0.448 0.500 0.499
Ca2 Ca 0.512 0.000 0.493
Ca3 Ca 0.943 0.500 0.994
V1 V 0.478 0.253 0.997
V2 V 0.979 0.252 0.495
O1 O 0.000 0.500 0.428
O2 O 0.200 0.285 0.793
O3 O 0.261 0.214 0.297
O4 O 0.482 0.000 0.925
O5 O 0.484 0.500 0.071
O6 O 0.703 0.290 0.707
O7 O 0.754 0.228 0.208
O8 O 0.955 0.000 0.544
```

~~~~~

(1)
Diffraction record for ZrTa2RhN. The PXRD pattern is calculated, not measured: it uses a cell relaxed with GGA-PBE and Cu Kα (weighted mean of Kα1 and Kα2).
Kinematic intensities with the Lorentz-polarization factor, no thermal factor.

The 10 most intense peaks (2θ = 5–70°), by angle:
2θ = 19.7°, 4.516 Å, rel. 11
2θ = 30.2°, 2.957 Å, rel. 6
2θ = 36.3°, 2.474 Å, rel. 100
2θ = 39.9°, 2.258 Å, rel. 21
2θ = 43.3°, 2.091 Å, rel. 34
2θ = 47.9°, 1.897 Å, rel. 5
2θ = 50.9°, 1.795 Å, rel. 3
2θ = 60.3°, 1.534 Å, rel. 25
2θ = 62.9°, 1.478 Å, rel. 11
2θ = 66.6°, 1.405 Å, rel. 2

Crystal structure
a b c (Å): 4.1817 4.1817 4.5160
angles (deg): 90.00 90.00 90.00
Fractional positions:
Zr: 0.0000 0.0000 0.0000
Ta: 0.0000 0.5000 0.5000
Ta: 0.5000 0.0000 0.5000
Rh: 0.5000 0.5000 0.0000
N: 0.0000 0.0000 0.5000

---

(2)
Diffraction record for Dy2Tm7In. The PXRD pattern is calculated, not measured: it uses a cell relaxed with GGA-PBE and Cu Kα (weighted mean of Kα1 and Kα2).
Kinematic intensities with the Lorentz-polarization factor, no thermal factor.

The 10 most intense peaks (2θ = 5–70°), by angle:
2θ = 11.7°, 7.591 Å, rel. 19
2θ = 17.1°, 5.193 Å, rel. 45
2θ = 20.7°, 4.288 Å, rel. 31
2θ = 30.3°, 2.954 Å, rel. 34
2θ = 34.1°, 2.627 Å, rel. 100
2θ = 34.5°, 2.596 Å, rel. 42
2θ = 36.3°, 2.476 Å, rel. 57
2θ = 46.6°, 1.950 Å, rel. 21
2θ = 61.6°, 1.505 Å, rel. 18
2θ = 63.9°, 1.457 Å, rel. 22

Crystal structure
a b c (Å): 9.2063 9.2063 5.1929
angles (deg): 90.00 90.00 124.45
Fractional positions:
Dy: 0.2072 0.7928 0.0000
Dy: 0.7928 0.2072 0.0000
Tm: 0.0000 0.0000 0.0000
Tm: 0.2181 0.4274 0.0000
Tm: 0.3041 0.6959 0.5000
Tm: 0.4274 0.2181 0.0000
Tm: 0.5726 0.7819 0.0000
Tm: 0.6959 0.3041 0.5000
Tm: 0.7819 0.5726 0.0000
In: 0.5000 0.5000 0.5000

I was watching this on TV last night. I usually don't get too emotional about stuff I see on TV,events on the news etc. BUT this, holy f$%&^. I could not believe what I was seeing. I kept calling my wife into the room to see and hear this. I can't believe how strong willed these people are after literally loosing everything and having the **** kicked out of them. I tried to imagine my neighborhood turned upside down and ripped apart. MY HEART GOES OUT TO EVERYONE TOUCHED BY THIS. Stay strong. I will be donating somthing , somewhere to help out..........unbelievable.

my wife and I got pretty emotional tonight, on news world tonight, they had a young woman on there, whos husband jumped on top of her in their bathtub to protect her.. like so many others their house was pretty much erased from the map.. she survived.. he didnt.. it was just numbing and devastating to hear her story.. and there are so many more like it.. this was truly one major disaster..